Excerpt >
~~~
Material: CaLa2Pr5Nd
Method: DFT, GGA-PBE
State: optimized geometry

a b c (Å): 8.871 8.871 16.894
angles (deg): 90.00 90.00 90.00
Space group I4/mcm (No. 140)
Unique sites:
Ca  0.000  0.500  0.250 x4
La  0.120  0.380  0.000 x8
Pr  0.000  0.000  0.000 x4
Pr  0.221  0.279  0.360 x16
Nd  0.000  0.000  0.250 x4

## Properties
crystal system = tetragonal
DFT formation energy = 0.241 eV/atom
spin magnetization = 0.000 μB per atom


Material: ThSiPd6
Method: DFT, GGA-PBE
State: optimized geometry

a b c (Å): 5.5914 5.5914 17.5892
angles (deg): 90.00 90.00 120.00
Space group R-3m (No. 166, hexagonal axes)
Unique sites:
Th  0.0000  0.0000  0.0000 x3
Si  0.0000  0.0000  0.5000 x3
Pd  0.0122  0.5061  0.9229 x18

## Properties
crystal system = trigonal
formation energy (no corrections) = -0.47 eV per atom
spin magnetization = 0.000 μB per atom


Material: SiPbO3
Method: DFT, GGA-PBE
State: optimized geometry

a b c (Å): 4.719 5.645 5.707
angles (deg): 118.92 99.63 90.21
Space group P-1 (No. 2)
Unique sites:
Si  0.000  0.000  0.000 x1
Si  0.500  0.000  0.000 x1
Pb  0.222  0.673  0.341 x2
O  0.211  0.090  0.813 x2
O  0.222  0.723  0.909 x2
O  0.313  0.181  0.276 x2

## Properties
crystal system = triclinic
formation energy (no corrections) = -1.90 eV per atom
spin magnetization = 0.000 μB per atom


Material: CeScTc
Method: DFT, GGA-PBE
State: optimized geometry

a b c (Å): 10.472 4.719 6.740
angles (deg): 90.00 127.53 90.00
Space group C2/m (No. 12)
Unique sites:
Ce  0.082  0.000  0.308 x4
Sc  0.185  0.500  0.073 x4
Tc  0.152  0.500  0.626 x4

## Properties
crystal system = monoclinic
DFT formation energy = -0.101 eV/atom
ΔE to the lowest computed polymorph = 0.58 kcal/mol of atoms
spin magnetization = 0.000 μB per atom


Material: CuSi2Pt
Method: DFT, GGA-PBE
State: optimized geometry

a b c (Å): 4.027 4.000 4.485
angles (deg): 90.00 107.18 90.00
Space group P2/m (No. 10)
Unique sites:
Cu  0.000  0.000  0.000 x1
Si  0.331  0.500  0.176 x2
Pt  0.500  0.000  0.500 x1

## Properties
crystal system = monoclinic
formation energy (no corrections) = -0.18 eV per atom
ΔE to the lowest computed polymorph = 1.12 kcal/mol of atoms
spin magnetization = 0.000 μB per atom


Material: HgSe
Method: DFT, GGA-PBE
State: optimized geometry

a b c (Å): 4.4607 4.4607 25.6107
angles (deg): 90.00 90.00 120.00
Space group R-3m (No. 166, hexagonal axes)
Unique sites:
Hg  0.0000  0.0000  0.0876 x6
Se  0.0000  0.0000  0.4031 x6

## Properties
crystal system = trigonal
formation energy (no corrections) = -0.05 eV per atom
spin magnetization = 0.000 μB per atom


Material: KBaZn3
Method: DFT, GGA-PBE
State: optimized geometry

a b c (Å): 6.265 6.265 6.265
angles (deg): 90.00 90.00 90.00
Space group Pm-3m (No. 221)
Unique sites:
K  0.000  0.000  0.000 x1
Ba  0.500  0.500  0.500 x1
Zn  0.000  0.500  0.500 x3

## Properties
crystal system = cubic
DFT formation energy = 0.467 eV/atom
ΔE to the lowest computed polymorph = 0.23 kcal/mol of atoms
spin magnetization = 0.000 μB per atom


Material: AlCdIr2
Method: DFT, GGA-PBE
State: optimized geometry

a b c (Å): 3.042 3.042 6.672
angles (deg): 90.00 90.00 90.00
Space group P4/mmm (No. 123)
Unique sites:
Al  0.000  0.000  0.000 x1
Cd  0.000  0.000  0.500 x1
Ir  0.500  0.500  0.217 x2

## Properties
crystal system = tetragonal
DFT formation energy = -0.372 eV/atom
spin magnetization = 0.000 μB per atom


Material: LuPaHgOs
Method: DFT, GGA-PBE
State: optimized geometry

a b c (Å): 7.072 7.072 7.072
angles (deg): 90.00 90.00 90.00
Space group F-43m (No. 216)
Unique sites:
Lu  0.000  0.000  0.000 x4
Pa  0.000  0.000  0.500 x4
Hg  0.250  0.250  0.750 x4
Os  0.250  0.250  0.250 x4

## Properties
crystal system = cubic
DFT formation energy = -0.095 eV/atom
spin magnetization = 0.002 μB per atom


Material: In5Ru
Method: DFT, GGA-PBE
State: optimized geometry

a b c (Å): 10.036 3.191 9.438
angles (deg): 90.00 102.46 90.00
Space group Cm (No. 8)
Unique sites:
In  0.000  0.000  0.000 x2
In  0.088  0.000  0.416 x2
~~~

To do >
Your job: set down everything further up unchanged.

Here it is >
Material: CaLa2Pr5Nd
Method: DFT, GGA-PBE
State: optimized geometry

a b c (Å): 8.871 8.871 16.894
angles (deg): 90.00 90.00 90.00
Space group I4/mcm (No. 140)
Unique sites:
Ca  0.000  0.500  0.250 x4
La  0.120  0.380  0.000 x8
Pr  0.000  0.000  0.000 x4
Pr  0.221  0.279  0.360 x16
Nd  0.000  0.000  0.250 x4

## Properties
crystal system = tetragonal
DFT formation energy = 0.241 eV/atom
spin magnetization = 0.000 μB per atom


Material: ThSiPd6
Method: DFT, GGA-PBE
State: optimized geometry

a b c (Å): 5.5914 5.5914 17.5892
angles (deg): 90.00 90.00 120.00
Space group R-3m (No. 166, hexagonal axes)
Unique sites:
Th  0.0000  0.0000  0.0000 x3
Si  0.0000  0.0000  0.5000 x3
Pd  0.0122  0.5061  0.9229 x18

## Properties
crystal system = trigonal
formation energy (no corrections) = -0.47 eV per atom
spin magnetization = 0.000 μB per atom


Material: SiPbO3
Method: DFT, GGA-PBE
State: optimized geometry

a b c (Å): 4.719 5.645 5.707
angles (deg): 118.92 99.63 90.21
Space group P-1 (No. 2)
Unique sites:
Si  0.000  0.000  0.000 x1
Si  0.500  0.000  0.000 x1
Pb  0.222  0.673  0.341 x2
O  0.211  0.090  0.813 x2
O  0.222  0.723  0.909 x2
O  0.313  0.181  0.276 x2

## Properties
crystal system = triclinic
formation energy (no corrections) = -1.90 eV per atom
spin magnetization = 0.000 μB per atom


Material: CeScTc
Method: DFT, GGA-PBE
State: optimized geometry

a b c (Å): 10.472 4.719 6.740
angles (deg): 90.00 127.53 90.00
Space group C2/m (No. 12)
Unique sites:
Ce  0.082  0.000  0.308 x4
Sc  0.185  0.500  0.073 x4
Tc  0.152  0.500  0.626 x4

## Properties
crystal system = monoclinic
DFT formation energy = -0.101 eV/atom
ΔE to the lowest computed polymorph = 0.58 kcal/mol of atoms
spin magnetization = 0.000 μB per atom


Material: CuSi2Pt
Method: DFT, GGA-PBE
State: optimized geometry

a b c (Å): 4.027 4.000 4.485
angles (deg): 90.00 107.18 90.00
Space group P2/m (No. 10)
Unique sites:
Cu  0.000  0.000  0.000 x1
Si  0.331  0.500  0.176 x2
Pt  0.500  0.000  0.500 x1

## Properties
crystal system = monoclinic
formation energy (no corrections) = -0.18 eV per atom
ΔE to the lowest computed polymorph = 1.12 kcal/mol of atoms
spin magnetization = 0.000 μB per atom


Material: HgSe
Method: DFT, GGA-PBE
State: optimized geometry

a b c (Å): 4.4607 4.4607 25.6107
angles (deg): 90.00 90.00 120.00
Space group R-3m (No. 166, hexagonal axes)
Unique sites:
Hg  0.0000  0.0000  0.0876 x6
Se  0.0000  0.0000  0.4031 x6

## Properties
crystal system = trigonal
formation energy (no corrections) = -0.05 eV per atom
spin magnetization = 0.000 μB per atom


Material: KBaZn3
Method: DFT, GGA-PBE
State: optimized geometry

a b c (Å): 6.265 6.265 6.265
angles (deg): 90.00 90.00 90.00
Space group Pm-3m (No. 221)
Unique sites:
K  0.000  0.000  0.000 x1
Ba  0.500  0.500  0.500 x1
Zn  0.000  0.500  0.500 x3

## Properties
crystal system = cubic
DFT formation energy = 0.467 eV/atom
ΔE to the lowest computed polymorph = 0.23 kcal/mol of atoms
spin magnetization = 0.000 μB per atom


Material: AlCdIr2
Method: DFT, GGA-PBE
State: optimized geometry

a b c (Å): 3.042 3.042 6.672
angles (deg): 90.00 90.00 90.00
Space group P4/mmm (No. 123)
Unique sites:
Al  0.000  0.000  0.000 x1
Cd  0.000  0.000  0.500 x1
Ir  0.500  0.500  0.217 x2

## Properties
crystal system = tetragonal
DFT formation energy = -0.372 eV/atom
spin magnetization = 0.000 μB per atom


Material: LuPaHgOs
Method: DFT, GGA-PBE
State: optimized geometry

a b c (Å): 7.072 7.072 7.072
angles (deg): 90.00 90.00 90.00
Space group F-43m (No. 216)
Unique sites:
Lu  0.000  0.000  0.000 x4
Pa  0.000  0.000  0.500 x4
Hg  0.250  0.250  0.750 x4
Os  0.250  0.250  0.250 x4

## Properties
crystal system = cubic
DFT formation energy = -0.095 eV/atom
spin magnetization = 0.002 μB per atom


Material: In5Ru
Method: DFT, GGA-PBE
State: optimized geometry

a b c (Å): 10.036 3.191 9.438
angles (deg): 90.00 102.46 90.00
Space group Cm (No. 8)
Unique sites:
In  0.000  0.000  0.000 x2
In  0.088  0.000  0.416 x2